December 26, 2011

The Homeless

The first two I met were “Keith” and “Donna.” They were camped out on a sidewalk in downtown San Diego, with nothing more than a few blankets, some books to read, and a few personal possessions. As I kneeled in front of them, introduced myself, and gazed into their eyes, I saw “fear.” But then as I told them a little more about who I was and what my purpose was in stopping by to offer them food on Christmas day 2011, they began to warm up. Before long, Donna asked me if I had a business card to leave with her, and Keith informed me they were originally from the East coast. They’d been living on the streets for more than a year.

Before I go any further with this story, allow me to give you some background on how it all started, and how I found myself waking up Christmas morning with this thought in mind; to go to downtown San Diego in honor of His birthday and see what He had in mind I could do. The day before, on Christmas Eve, I received a phone call. It was one of the members of my Facebook page, one who I’d become friends with, and who is a vocal and loyal supporter. But it’s not like this call came from next door. This individual was calling from Athens, Greece of all places. We talked for nearly 45 minutes and we shared with one another our plans for Christmas. I informed her that, since my children were far away in Kansas, and that one of my sisters was the only family I had nearby, I would probably just be spending a quiet day by myself; perhaps even take a walk along the beach. She said, “Oh? I thought maybe you might volunteer or something.” I’m assuming she meant that by the way I’m always speaking of “Keeping Kindness Alive” or “Paying it Forward”, that sort of thing.

So, the next morning, bright and early, I awoke with a plan. It had been only a few weeks prior when, in a strange twist of fate, I’d gone to downtown San Diego for a meeting and mistakenly parked 10 blocks from my destination, whereupon I simply walked the rest of the way. And it was then when I saw so many of them. They were everywhere. Some were like Keith and Donna, a little spot set up on the sidewalk where they lived. Others were walking around and talking to….NO ONE. I found myself avoiding eye contact with those. In retrospect, I was wrong. I should have followed my own advice. I should have “stopped, looked, and listened.” These were human beings. Who knows what hardship befell them? Who was I to say whether their plight was self-inflicted or not? So, with those thoughts and images in my mind, I decided right then and there to go back. The timing was perfect. What better day than the birthday of our Lord and Savior? The one who died on the cross for MY sins so I could live, to honor Him in gratitude and respect by reaching out in some small way and help a fellow brother or sister?

It wasn’t long before He’d already begun formulating His plan. A block from my home, still 30 minutes from my destination, I stopped at a 7-Eleven for coffee. When I went to the counter, they were handing out free cookies for Christmas. I remarked to the clerk, “Candy” was her name (How appropriate is THAT! “Candy Cane!”), that I should probably take a couple with me and proceeded to tell her why. She looked at me and said without hesitation, “Hold on a second.” Next thing I know, she’s rummaging through the shelves, searching for sandwiches and cookies. Ten minutes later, I walk out lugging two HUGE plastic bags filled with goodies. Ah, if I only had a big red sack and a matching hat to boot, I’d have fit the part to a “T.” So off I went.
Back to the story. After Keith and Donna came “Wanda.” Now here was a lady who you’d never guess was homeless. She was dressed in holiday cheer, a red cap that said “Naughty” on it, matching red slippers, a radio tuned in to KYXY radio, 96.5 FM San Diego, which had been playing Christmas music all day, every day, since Thanksgiving. And in another ironic twist of fate, THE very same station from which I’d been obtaining ideas for tunes to share on my Facebook page since Thanksgiving myself! Ah, serendipity and the synchronicity of life. Don’t you love when that “happens?” Wanda was gracious, well-groomed, and told me her brief story. How she survived a double mastectomy years prior when she was 33 and here she was, at age 62, living on the streets, refusing to seek shelter inside, and really wasn’t looking for any handouts. She was simply making do the best she could. Totally admirable lady from Louisiana, grateful for the food given her that day.

Next up came Tonya, originally from Vermont. She had a nice place in the shade, a little umbrella propped up on the ground to protect her head, and was half-asleep when I stopped and said “hello.” For the next 15 minutes, she enthralled with me with her grasp for current events, her intellect, and her deep convictions that it wasn’t the big companies that were the problems our country is facing, but rather corruption at all levels of government. Of course, I surmised her view as slightly tainted since she’d been denied for an extension of her unemployment benefits, benefits that came after she was laid off working for a design company. All in all, a memorable encounter. Tonya got not only a sandwich, but cookies as well!
And then came “Sky.” A young lady, originally from Orange County, just up the coast north of San Diego, who was sitting in a chair on the sidewalk next to her boyfriend, “Nico” from Texas, who was laying down asleep on the sidewalk, suffering the after-effects of last night’s libations. Turns out Nico was the only one of NINE people I met that day who showed any signs of substance abuse. Thankfully, he never woke up. When he did, I’m sure he enjoyed the foot-long Italian sub-sandwich I left with Sky.

It was Sky’s story that nearly brought me to tears. She re-counted how she’d lost her children, who were now age 10 and 7, and who were living with her sister in Orange County. When she told me the last time she’d seen them was on Christmas Day in 2009, she broke down sobbing, awash in tears. I couldn’t help it. I got up from where I was sitting on the sidewalk nearby, walked around to where she was sitting in her chair, knelt down, put one arm around her and one hand on her face and head, gently offering words of encouragement. We talked and talked. By the time I left, she had stood up, smiling, and gave me the biggest hug. Of course, I returned it in kind, along with the address to my website and email, the same I gave everyone that day. She assured me she would try to write and share her story in more detail. I hope she does. Because I know what I’ll do with it! You got it, it’ll be right here, for all to see, read, and hopefully, be inspired by. That if you think you’ve got it bad, it’s a virtual guarantee, someone else has got it worse. 

Moving across the street from Sky and Nico, I met “Tom.” Tom is 58 years old, an Army veteran trained as a medic, who was THIS close being sent to Vietnam before the war ended. He was from Bonita, CA. originally, and had bounced around from job to job for years before finally ending up on the street. I wasn’t able to obtain much more information from him than that but, after I asked if I could take his picture for my website, he perked right up, quickly adjusted his hair and baseball cap, and posed with a gleam in his eye.

The final two I met before I ran out of food were Curtis, who was originally from Baltimore, and I’m guessing in his mid-30’s. His compatriot and friend, Terry, was African-American who is originally from Buffalo. Terry was quite the character, full of energy, enthusiasm, quite religious actually, and who also firmly believed his current plight was merely a temporary roadblock before moving on to the next chapter in his life.

And that, right there, was a common undercurrent for those I met on that fateful Christmas Day, ALL of these people left me the impression that they had HOPE for their lives. And in spite of their individual stories, all of them appeared prepared to face whatever life had in store for them, with courage and dignity.

The reason why I shared this story in such detail isn’t to render an opinion, nor to illicit one, on the “whys” or the circumstances surrounding Keith, Donna, Wanda, Tonya, Sky, Nico, Tom, Curtis, or Terry’s lot in life. It’s merely to point out that this could happen to any of us. Some of these people, in particular Wanda and Tonya, if you met them in person in any other venue, you’d never know they were “Homeless.” To drive this point home even further, it was fitting that, at the end, Curtis and Terry shared with me the story of two men they met who had befell the same fate as they, both ending up on the street. One was a licensed attorney, who had lost everything in a bitter and protracted divorce. The other was a licensed psychologist who also found himself living on the street.

So, when you wake up tomorrow morning, look around you. Do you have a roof over your head? Clothing to shelter you from the elements? Food in your refrigerator? Some means of transportation to get you to and from work? Enough change in your pocket for a few incidental needs? Access to basic and affordable health care? These are the necessities of life. Everything else, all your material possessions, pettiness issues with your spouse, family, or co-workers, the age of your car, whether you have all the “finer things” in life, ALL of that and more, they’re meaningless.

The only thing that matters is what you have inside. What you have in your heart, soul, and mind. We came into this world with nothing and we leave it the same way. It’s how we make each other FEEL in between that matters. Be grateful for that. Be grateful for LIFE. And remember this as well, together we stand, so stand up and help one another. 



Theresa said...

This was such a touching and thought provoking story!! I so appreciate that you took the time and effort to not just write it but live it!! Thank you! Merry Christmas and Hope you have a blessed New Year!

[Here the entry breaks off for molecular data]
{
  "formula": "C22H36O3P2V",
  "method": "ωB97M-V with the def2-TZVPD basis set",
  "elements": ["C", "C", "H", "H", "H", "H", "C", "H", "O", "H", "H", "H", "H", "H", "C", "H", "H", "P", "C", "V", "H", "C", "H", "H", "C", "C", "H", "H", "H", "H", "O", "C", "C", "H", "C", "C", "C", "H", "H", "H", "C", "H", "H", "H", "O", "H", "H", "H", "H", "C", "H", "C", "P", "H", "C", "H", "C", "C", "H", "H", "C", "C", "H", "C"],
  "positions_angstrom": [[-2.883, 0.961, 2.450], [0.702, -4.299, -3.575], [0.190, -3.543, -4.176], [3.307, -4.716, -4.350], [-2.276, 4.013, 3.877], [0.059, 1.801, 0.959], [-1.598, -0.323, 0.697], [1.272, -1.623, 1.338], [-3.750, -0.055, 2.468], [-2.833, -2.727, -0.845], [-3.981, 2.173, 3.844], [2.785, -5.628, -2.118], [2.739, -2.610, 2.535], [1.116, -1.694, -0.975], [-2.000, -2.673, -1.578], [5.238, -2.674, -0.419], [4.038, 0.005, 0.239], [1.188, -4.183, 0.994], [-0.804, 1.904, 1.623], [-0.272, -3.735, -0.522], [5.043, -0.856, -2.512], [-0.510, -4.597, 1.661], [-0.404, -5.563, 2.174], [3.130, -3.034, -4.836], [2.456, -4.776, -1.508], [1.987, -1.010, -0.705], [-3.240, -0.817, 1.996], [2.238, -0.144, 1.291], [5.729, 0.244, -0.233], [0.175, -4.963, -1.329], [-2.086, -1.434, 1.120], [5.282, -1.854, 0.333], [3.337, -3.684, -3.967], [1.182, -5.085, -4.167], [2.210, -1.183, 0.919], [3.184, -1.982, 1.741], [3.029, -0.737, -1.774], [2.508, -5.582, 2.708], [-1.897, -1.571, -1.741], [-1.324, -4.633, 0.880], [-1.000, 3.039, 2.420], [-0.034, -4.754, -2.910], [2.099, -6.563, 1.263], [-2.499, -3.008, -2.518], [-1.051, -0.091, -0.406], [1.369, -0.098, -0.781], [5.072, -2.892, 2.185], [-0.756, -3.867, 2.446], [3.400, -5.330, 1.201], [-1.729, 0.863, 1.636], [4.386, -3.493, -3.673], [4.894, -0.474, -0.279], [1.975, -3.423, -2.608], [3.280, -4.447, -0.839], [4.372, -0.693, -1.647], [-0.259, 3.839, 2.426], [4.463, -2.250, 1.493], [1.154, -5.101, -0.722], [2.654, -0.708, -2.785], [1.084, -6.174, -0.493], [2.410, -5.563, 1.614], [-2.133, 3.134, 3.241], [6.337, -1.784, 0.653], [-3.088, 2.117, 3.233]],
  "lowdin_spin": [0.0000, 0.0112, 0.0001, 0.0005, 0.0000, 0.0000, -0.0005, 0.0010, -0.0001, 0.0015, 0.0000, 0.0004, 0.0045, 0.0021, -0.0867, 0.0004, 0.0000, 0.1452, 0.0000, 2.6643, 0.0001, 0.0523, 0.0031, 0.0000, 0.0147, 0.0062, 0.0000, 0.0000, 0.0000, 0.0424, -0.0017, 0.0011, 0.0043, 0.0008, 0.0006, 0.0070, 0.0003, 0.0005, -0.0073, 0.0162, 0.0000, 0.0077, 0.0055, -0.0026, 0.0007, 0.0000, 0.0002, 0.0040, 0.0006, -0.0001, 0.0002, 0.0004, 0.0081, 0.0009, 0.0024, 0.0000, 0.0061, 0.0437, 0.0002, 0.0093, 0.0284, 0.0000, 0.0001, 0.0000],
  "mol_weight_g_mol": 461.42,
  "e_homo_ev": [-7.035, -7.035],
  "de_lowest_kj_mol": 483.8,
  "e_tot_ev": -73795.9176,
  "fmax_ev_per_a": 9.90,
  "orbital_gap_ev": [5.7, 6.0],
  "spin_multiplicity": 4,
  "total_charge": 0
}

----------

DFT (wB97M-V/def2-TZVPD) results for C11H19AgF3O5 as an isolated structure in a non-equilibrium geometry.

DFT total energy ... -1253.0608 a.u.
Spin multiplicity ... 2
Maximum force ... 4.735 eV Å⁻¹

Bond 007 said...

Thank you Theresa! Yes, it took some time, but worth the effort. If it "touches" just one or many, to help them understand that LIFE is precious and not to be taken for granted, then I'M the one that's Blessed.
